Scipio 21



3 years, 1 month ago


  • NAME Scipio
  • NICKNAMES Scramble
  • AGE Adult
  • BIRTHDAY Late Autumn
  • SIZE Large
  • GENDER Female
  • SPECIES Elemental Dragon
  • ORIGIN Opening Event
  • Element Earth
  • TAROT Knight of Swords
  • ORIENTATION Dragons, possibly Boulders
  • RIDER Jimena
  • CC PROFILE [Link]
  • MAIN THEME Big Jaw Comes to Steal

What is that rattling noise when she shakes her head?

We can't say for certain how Scipio got her nickname. Perhaps her real name was a little difficult for people to pronounce, or perhaps it was in reference to her brains...which sometimes seem a little scrambled. In any case, Scipio is a huge dork that runs around with all four arms flailing. She sits on her bottom four limbs like a dog and is even known to wag her tail when excited (much to the dismay of those around her). Her top two limbs are very short, but for some reason, she chooses those to express herself with. Her tattered frog throat makes what may have been beautiful noises a cacophony of squeaks. She believes this is the norm and is quite content with her "serenadous" voice. While clumsy, she is kindhearted and eager to create friendships with others. She will often pick people up and ferry them to their destinations (well, she's only successful half the time, but still).
















pessimist optimist

Naive Perceptive

Reserved Social

sassy polite

patient foolhardy






Scipio is quite loyal to her Rider. She may not understand the complexities of the issues Jimena deals with, but she does understand that Jimena always appreciates a silly dragon. Scramble is perfectly capable of that. On top of that, she's strong enough for it to be a personality trait. If Jimena sics her, she will leave only destruction behind.

-- Unrelated to this text: data records --
-- begin --
Entry i
19
Properties=species:S:1:pos:R:3:mulliken_charge:R:1 method="wB97M-V/def2-TZVPD" lumo_ev=0.7 multiplicity=1 homo_ev=-9.59 smiles="CCC(=O)NCO.O"
C 1.42440 -2.04441 0.52267 -1.15
C 1.48798 -0.80946 -0.46499 -0.24
C 0.33438 0.03720 0.11659 0.31
O -0.13223 -0.10243 1.26086 -0.73
N -0.42837 1.05707 -0.41452 -0.17
C -0.79425 0.98973 -1.83404 -0.18
O -2.19666 0.62710 -1.91662 -0.54
H 0.42187 -2.46088 0.86220 0.28
H 2.04090 -2.89970 0.25110 0.35
H 1.59527 -1.69865 1.51863 0.33
H 1.51344 -1.15024 -1.44478 0.50
H 2.34844 -0.32033 0.08822 0.17
H -1.06962 1.69610 0.23829 0.32
H -0.80704 1.86979 -2.41912 0.25
H -0.07635 0.26102 -2.37189 0.17
H -2.60076 0.13841 -1.30340 0.29
O -1.33069 1.79469 2.54166 -0.67
H -1.26704 0.89720 2.32221 0.42
H -0.46367 2.11779 2.44696 0.29

Entry ii
19
Properties=species:S:1:pos:R:3:mulliken_charge:R:1 method="wB97M-V/def2-TZVPD" lumo_ev=0.7 multiplicity=1 homo_ev=-7.57
C 1.80941 -1.05842 -0.34639 -1.22
C 1.01978 -0.25733 -1.33802 0.26
O 1.79181 0.42766 -2.25230 -0.58
C -0.31289 -0.18274 -1.37559 0.76
N -1.20686 -0.73256 -0.43348 -0.58
O -0.93254 0.55093 -2.38166 -0.57
H 1.56822 -2.11850 -0.42029 0.28
H 2.86192 -0.92384 -0.57616 0.35
H 1.62774 -0.73086 0.67596 0.25
H 1.19462 0.87987 -2.86086 0.31
H -1.76753 -1.48529 -0.82162 0.21
H -0.71468 -1.06333 0.38616 0.24
H -1.85666 0.65135 -2.13055 0.34
C -1.11805 1.00248 2.55605 -0.63
O 0.11105 0.63269 1.97734 -0.48
H -1.12281 2.05725 2.84905 0.28
H -1.24088 0.38886 3.44695 0.22
H -1.95173 0.81394 1.87260 0.28
H 0.24007 1.14785 1.17281 0.28

Stability ranking, top and bottom: entry ii is the most stable and entry i is the least stable.

Entry i
19
Properties=species:S:1:pos:R:3:mulliken_charge:R:1 method="wB97M-V/def2-TZVPD" lumo_ev=-3.0 multiplicity=1 homo_ev=-9.31
C 1.58216 -0.41091 -0.56572 -0.55
N 0.52696 -0.15266 0.37161 -0.26
C -0.83659 -0.62066 0.10953 0.66
O -0.90714 -1.26221 -0.94759 -0.63
O -1.75726 -0.31999 0.90664 -0.73
C 1.18613 0.32802 -1.93438 -0.42
C 0.22997 1.46716 -1.73117 -0.66
H 1.64262 -1.46160 -0.87202 0.25
H 2.54940 0.03988 -0.32158 0.44
H 0.73521 0.04400 1.33501 0.21
H -0.60844 1.77025 0.15698 0.64
H 2.16144 0.70370 -2.30138 0.38
H 0.84425 -0.46729 -2.61337 0.28
H -0.12408 1.56543 -0.63847 -0.35
H -0.63627 1.48382 -2.36360 0.36
H 0.72519 2.42690 -1.87988 0.42
H -0.59487 0.20179 3.88349 0.31
H -0.71344 0.12678 2.38666 0.34
O -0.16428 0.53734 3.09018 -0.69

Entry ii
19
Properties=species:S:1:pos:R:3:mulliken_charge:R:1 method="wB97M-V/def2-TZVPD" lumo_ev=0.7 multiplicity=1 homo_ev=-10.10 smiles=CCC(O)(O)NCO
C 2.24978 0.49188 0.04549 -1.04
C 1.40109 -0.71290 0.43555 -0.64
C -0.03667 -0.68362 -0.10852 0.68
O -0.63164 -1.91938 0.18228 -0.57
O -0.01584 -0.55523 -1.50426 -0.53
N -0.84846 0.33199 0.51597 -0.44
C -1.90408 0.81785 -0.34194 -0.29
O -2.75000 1.61239 0.45905 -0.55
H 3.27302 0.36194 0.41277 0.36
H 2.29987 0.60753 -1.04181 0.25
H 1.85951 1.41937 0.47359 0.30
H 1.39020 -0.81993 1.52793 0.28
H 1.90405 -1.61350 0.05777 0.34
-- stop --

  • Rocks
  • Jimena
  • Smiles
  • Birds
  • Hunger
  • Boredom
  • MOTHER Jimena
  • FATHER Also Jimena
  • SIBLINGS Unknown
  • MATE Unknown
  • OFFSPRING Many Pebbles Made

-- Between two parts of the text: molecular data --
____________
[1]
{
  "formula": "C36H103N5O21",
  "method": "the ωB97M-V functional and the def2-TZVPD basis",
  "species": ["C", "C", "C", "H", "H", "H", "H", "H", "H", "H", "O", "H", "H", "H", "H", "H", "H", "O", "C", "O", "H", "H", "H", "O", "C", "H", "H", "H", "C", "O", "H", "O", "H", "C", "O", "H", "H", "O", "C", "H", "H", "H", "H", "H", "O", "H", "H", "H", "N", "O", "H", "H", "C", "C", "H", "O", "H", "C", "H", "H", "H", "C", "C", "N", "O", "H", "C", "H", "H", "H", "H", "H", "H", "H", "H", "H", "H", "H", "C", "H", "H", "H", "H", "O", "C", "H", "H", "C", "O", "H", "N", "H", "H", "O", "C", "O", "H", "H", "C", "H", "H", "H", "H", "H", "C", "H", "C", "O", "H", "H", "H", "H", "C", "H", "C", "H", "C", "C", "H", "H", "H", "H", "C", "H", "N", "H", "H", "C", "H", "H", "H", "H", "C", "H", "C", "H", "C", "O", "C", "H", "H", "H", "C", "H", "H", "H", "C", "O", "H", "H", "H", "C", "H", "H", "H", "H", "H", "O", "N", "O", "C", "H", "C", "H", "H"],
____________

Scramble's egg was originally found in the wild. Initially feeling no connection, Jimena decided it would make for a delicious meal. When it didn't cook, she figured it was actually a rock that might sell well. Scipio hatched before any more disaster could happen.

Originally there was no connection between Jimena and Scipio. It eventually became a friendship--the way a dog and their master would bond--and at some point when neither was paying attention it became a mental bond as well. Once the mental connection was set, they became inseparable.


Baby Scipio was endearing enough that Jimena chose not to sell it, even though there was no bond between them. She ate her horrible cooking along with anything else that fit in her mouth. Rocks? Fair game. The little dragon was useful as a trash disposal. She ultimately earned her keep by serving as a natural distraction whenever Jimena needed one (and sometimes when she didn't).


They both agree that her adulthood started when the mental connection between them formed. She leaned into her talents as a troublemaker to become someone Jimena could depend on. She still has difficulty showing patience and reservation, but she's working on it. Jimena rarely takes sides with one alliance or the other, so Scipio is content to help with whatever Jimena feels is right at the time. On occassion, Jimena will ask her for advice. She does not know why her Rider would ever do that, but it happens consistently enough that she gives it her all when called upon.

As far as love interests and courtships and that sort of thing goes, Scipio is content to take things as they go. While she understands such things as devotion and loyalty, she understands collecting rocks much better. She collects lovers like she collects rocks, and she treasures each and every one of them.


Scipio does not have a developed Chronology yet. The gallery images are in no particular order, and not particularly canon.


Scipio is large, bordering on huge--about the size you would expect of an average Tyrannosaurus Rex. Her body is influenced by said dinosaur, along with Pachycephalosaurus, Stegosaurus, and general raptors and birds. She can destroy just about anything she slams her head into, and nothing is safe from holes when she's swinging her tail around. Other than these bits, she's quite safe to be around. Her mane is quite soft and her talons aren't particularly sharp. When at rest, she sits like a dog by relaxing her hind limbs and touching her central limbs to the ground. Her forelimbs are always free to assist in communication.


Scramble begins each day by eating. She continues each day by eating, ends each day by eating, and occassionally eats in her sleep. Jimena limits her to one regular meal per day--the other meals consist of rocks, metal, trees, and whatever else strikes her fancy.

## The article is interrupted by calculated molecules
<<<
Record 1
DFT (the ωB97M-V functional and the def2-TZVPD basis) results for an isolated molecule of C3H5NO2.

```
11
C3H5NO2, DFT the ωB97M-V functional and the def2-TZVPD basis
H -1.792 1.944 0.907
N -1.236 1.105 0.761
C -0.039 1.401 0.497
O 0.925 0.485 0.276
C 0.499 -0.881 0.263
C 0.171 -1.244 -1.182
O -0.937 -1.206 -1.649
H 0.400 2.398 0.418
H -0.377 -1.016 0.900
H 1.353 -1.461 0.623
H 1.034 -1.525 -1.814
```

gap between HOMO and LUMO = 10.605 eV
F_max = 0.4 eV/A
energy relative to the best compared isomer or geometry (same formula, charge and spin) = 41.9 kcal per mole
2S+1 = 1
calculated total energy = -322.50755 Ha
SMILES string = [H]/N=C/OCC=O

Atom charges from the Löwdin analysis, given in e for atoms 1 to 5: atom 1 (H): 0.06, atom 2 (N): 0.12, atom 3 (C): -0.31, atom 4 (O): -0.07, atom 5 (C): -0.15

=====

Record 2
DFT (the ωB97M-V functional and the def2-TZVPD basis) results for an isolated molecule of C3H5NO2.

```
11
C3H5NO2, DFT the ωB97M-V functional and the def2-TZVPD basis
H 0.404 -2.242 0.532
N 0.010 -1.430 0.075
C 0.859 -0.590 -0.340
C 0.314 0.738 -0.832
O -1.044 0.797 -0.424
C -1.184 0.449 0.882
O -0.355 0.643 1.733
H 1.941 -0.724 -0.305
H 0.892 1.585 -0.446
H 0.327 0.782 -1.927
H -2.165 -0.007 1.050
```

gap between HOMO and LUMO = 11.240 eV
F_max = 0.8 eV/A
energy relative to the best compared isomer or geometry (same formula, charge and spin) = 39.3 kcal per mole
2S+1 = 1
calculated total energy = -322.51171 Ha
SMILES string = [H]/N=C/COC=O

Atom charges from the Löwdin analysis, given in e for atoms 1 to 5: atom 1 (H): 0.08, atom 2 (N): 0.12, atom 3 (C): -0.18, atom 4 (C): -0.16, atom 5 (O): -0.05

=====

Record 3
DFT (the ωB97M-V functional and the def2-TZVPD basis) results for a structure of composition C3H5NO2.

```
11
C3H5NO2, DFT the ωB97M-V functional and the def2-TZVPD basis
O 1.585 0.282 0.677
C 0.765 -0.492 -0.205
C -0.594 0.209 -0.167
O -0.424 1.564 -0.208
C -1.915 -0.385 -0.298
N -3.002 -0.790 -0.441
H 2.506 0.265 0.389
H 1.263 -0.579 -1.185
H 0.588 -1.484 0.195
H -1.193 -0.289 0.965
H 0.422 1.699 0.278
```

gap between HOMO and LUMO = 9.623 eV
F_max = 3.2 eV/A
energy relative to the best compared isomer or geometry (same formula, charge and spin) = 90.9 kcal per mole
2S+1 = 1
calculated total energy = -322.42941 Ha

Atom charges from the Löwdin analysis, given in e for atoms 1 to 5: atom 1 (O): -0.07, atom 2 (C): -0.17, atom 3 (C): -0.34, atom 4 (O): 0.03, atom 5 (C): -0.27

=====

Record 4
DFT (the ωB97M-V functional and the def2-TZVPD basis) results for an isolated molecule of C3H5NO2.

```
11
C3H5NO2, DFT the ωB97M-V functional and the def2-TZVPD basis
C -2.172 -0.060 0.006
C -0.918 0.739 0.228
O 0.087 -0.028 -0.179
C 1.394 0.522 -0.079
O 1.661 1.683 -0.163
N 2.252 -0.512 0.076
H -2.044 -1.046 -0.456
H -2.674 -0.168 0.977
H -2.871 0.534 -0.596
H 1.943 -1.468 0.026
H 3.234 -0.310 0.163
```

gap between HOMO and LUMO = 9.458 eV
F_max = 0.6 eV/A
>>>

She looks scraggly for an Earth dragon, so she can go many places without putting others on edge. This is advantegous for both her and Jimena. Jimena constantly takes on mercenary missions that start and end in brawls. Scramble loves to brawl, so the closer they can start the action, the better.


When resting at the Galleria, she enjoys sorting her collection of rocks. Very few can be called gemstones--in fact, the majority look like sandstone or river rocks--but she sorts them by color, shape, size, and composition. If there is one talent she has, it's to recognize what rocks are made of. Unfortunately this talent isn't useful outside of organizing rocks.

Scramble lives alongside many other dragons, some of which are her own hatchlings. While she isn't the 'dominant' or 'alpha' dragon, nor any kind of leader, her seniority is respected among the others. From her place as a mentor of sorts, she encourages others to get along and settles disputes. In terms of brute force, she is not physically strongest--but with magic and her bond with Jimena, she always comes out on top in skirmishes.


To write a profile without talking about her disabilities would be an injustice. She has several issues that even other Earth dragons would take notice of. First, she does not speak well. She understands Jimena mainly through their mental connection, but for everyone else, she just does her best to pull out keywords. She is able to live a fairly normal life thanks to her connection with Jimena, though when they are separated by distance, she struggles to keep up with the world around her.

Second, she is very frail for an Earth dragon. Her throat is in tatters and her spikes chip frequently. Her tail spikes are even known to fall off. They regenerate quickly enough thanks to earth magic, which she has quickly grown talented at. She's particularly aware of her weaknesses when surrounded by Jimena's other dragons. Whenever she becomes self-conscious, Jimena is quick to remind her that her true strength lies in her happiness and ability to forge bonds. Her heart shines just like the light on her chest.

 relationship -

Scipio's Rider and partner in crime (?) . Together, the two are unstoppable. Scipio is, without a doubt, the dragon closest to Jimena. She was the first hatched and bonded, even if the bond took a little more time than usual.